"Научный аспект №1-2019" - Гуманитарные науки

Особенности преподавания неродного языка

Абдукаримова Замира Боругуловна – старший преподаватель кафедры Иностранных языков Гуманитарного факультета Кыргызского национального университета им. Ж.Баласагына.

Койчуманова Нургуль Мааметовна – доктор филологических наук, профессор, проректор по учебной работе Института экономики и финансов.

Аннотация: В статье рассматриваются особенности преподавания неродного (иностранного) языка на нефилологических факультетах.

Ключевые слова: Многоязычное образование, дифференцированный подход, речевая деятельность, коммуникация.

Features of a non-native (foreign) language teaching

Abdukarimova Zamira Borugulovna – Senior Lecturer, Department of Foreign Languages Humanities Faculties, Kyrgyz National University named after J.Balasagyn, Bishkek, Kyrgyz Republic.

Koichumanova Nurgul Maametovna – Doctor of Philology Science, Professor, Vice Rector for Academic Affairs, Institute of Economics and Finance, Bishkek, Kyrgyz Republic.

Abstract: This article is considered the features of a non-native (foreign) language teaching in non-philological faculties.

Keywords: Multilingual education, differentiated approach, speech activity, communication.

### Someone pasted data records at this point
┌──
For TbPu3As4, a GGA-PBE-relaxed structure gives the calculated PXRD pattern in this record (Cu Kα (weighted mean of Kα1 and Kα2)).
Neutral-atom scattering factors, no anomalous dispersion.

Atomic structure:
Unit cell a=7.1528 b=7.1528 c=4.1367 alpha=90.00 beta=90.00 gamma=109.51
Element x y z (fractional)
Tb  0.0000  0.0000  0.0000
Pu  0.0000  0.5000  0.5000
Pu  0.5000  0.0000  0.5000
Pu  0.5000  0.5000  0.0000
As  0.2499  0.7501  0.0000
As  0.2519  0.2519  0.5000
As  0.7481  0.7481  0.5000
As  0.7501  0.2499  0.0000

Principal peaks in the range 2θ = 10–90°, sorted by position:
d/Å  Position (°2θ)  intensity
3.374  26.4  42
2.922  30.6  100
2.066  43.8  76
1.762  51.9  21
1.687  54.4  27
1.461  63.7  13
1.307  72.3  29
1.306  72.4  6
1.193  80.5  13
1.192  80.6  13



For TmPuTeAs, a GGA-PBE-relaxed structure gives the calculated PXRD pattern in this record (Cu Kα (weighted mean of Kα1 and Kα2)).
Neutral-atom scattering factors, no anomalous dispersion.

Atomic structure:
Unit cell a=7.4481 b=7.4481 c=7.4481 alpha=32.86 beta=32.86 gamma=32.86
Element x y z (fractional)
Tm  0.0000  0.0000  0.0000
Pu  0.4821  0.4821  0.4821
Te  0.2433  0.2433  0.2433
As  0.7380  0.7380  0.7380

Principal peaks in the range 2θ = 10–90°, sorted by position:
d/Å  Position (°2θ)  intensity
3.449  25.8  15
3.002  29.8  100
2.761  32.4  7
2.139  42.3  35
2.107  42.9  39
1.725  53.1  20
1.501  61.8  11
1.351  69.6  13
1.335  70.6  17
1.222  78.2  12



For PuTiAs, a GGA-PBE-relaxed structure gives the calculated PXRD pattern in this record (Cu Kα (weighted mean of Kα1 and Kα2)).
Neutral-atom scattering factors, no anomalous dispersion.

Atomic structure:
Unit cell a=8.1520 b=8.1520 c=8.1520 alpha=151.45 beta=151.45 gamma=40.82
Element x y z (fractional)
Pu  0.1769  0.1769  0.0000
Pu  0.8231  0.8231  0.0000
Ti  0.0000  0.5000  0.5000
Ti  0.5000  0.0000  0.5000
As  0.3812  0.3812  0.0000
As  0.6188  0.6188  0.0000

Principal peaks in the range 2θ = 10–90°, sorted by position:
d/Å  Position (°2θ)  intensity
7.640  11.6  40
3.156  28.3  100
2.843  31.5  81
2.664  33.6  66
2.433  36.9  88
2.281  39.5  43
2.010  45.1  56
1.695  54.1  35
1.564  59.1  28
1.550  59.7  45



Q: What is the formula in the third record?
A: PuTiAs

----------

Calculated PXRD pattern of V4Cr3Ir for Cu Kα X-rays, from the GGA-PBE geometry in Alexandria.
Peak positions follow from Bragg's law for the DFT cell and can differ from measured ones.

Cell and atoms:
abc: 4.1636 4.1636 5.8994
angles: 90.00 90.00 90.00
Space group P4/mmm (No. 123)
One atom of each set of equivalent atoms:
1 V 0.0000 0.5000 0.2416 (multiplicity 4)
2 Cr 0.0000 0.0000 0.0000 (multiplicity 1)
3 Cr 0.0000 0.0000 0.5000 (multiplicity 1)
4 Cr 0.5000 0.5000 0.0000 (multiplicity 1)
5 Ir 0.5000 0.5000 0.5000 (multiplicity 1)

The 8 most intense peaks (2θ from 5° to 70°), low angle first:
| two_theta | I_rel | hkl |
| --- | --- | --- |
| 15.0 | 11 | 0 0 1 |
| 21.3 | 13 | 1 0 0 |
| 26.2 | 15 | 1 0 1 |
| 30.3 | 10 | 0 0 2 |
└──

Currently is being re-evaluated the existing social practice changes the system requirements to a specialist, and the education system as a whole. A modern specialist should be able not only to reproduce the already existing knowledge, but also to creative activity, to non-standard thinking. Therefore, the educational process in higher education should provide students with the discovery and development of creative potential.[1]

Let’s push from the truths: the study of language begins in the family, and then continues in the environment. Since communication with parents is reduced to several everyday phrases in the evening and on weekends, to a greater degree the environment - in the yard, kindergarten, school, circle ... - influences which language becomes the main thing for a person. Plus, the flow of information from newspapers, magazines, television, radio ... Language is not learned from textbooks with the rules of grammar, but in practice. Many centuries ago, humanity developed verbal communication because of the need to survive. So today everyone is forced to interact and speak the same language with others. But over the centuries, people have come up with another function for the language - the symbol. For example, a symbol of national identity, statehood, sovereignty.

The purpose of practical training in any language: Kyrgyz, Russian, foreign, regardless of the specificity of the university - teaching and improving the students' speech, both oral and written, in various areas of communication: conversational, social, political, scientific and, mainly, in educational.

Note the following language learning problems:

  1. the definition of learning objectives;
  2. the definition of the content of training;
  3. the development of methods of communication knowledge.

Language proficiency is such an extensive and so complex concept that it is first necessary to determine the possible degrees of language proficiency.

The first methodological problem is the ability to set a specific learning goal. In order to solve it, you need:

1. Properly consider the factors affecting the possibility of the goal achieving. What are these factors?

a) a grid of hours, i.e. how much time is devoted to learning a language, for example, a foreign one. On the basis of the State Educational Standard of the Kyrgyz Republic, a foreign language is allocated [3].

b) Distribution, i.e. intensive distribution of dedicated hours. For example, if we teach one or two academic hours regardless of the course, then this is certainly ineffective. There is one pattern that should not be forgotten - at the initial stage, when the development of pronunciation skills and acquaintance (in-depth) with the language, the training should be intensive. In fact, it turns out, how to start with one or two classes a week, and continue, and on subsequent courses do not continue. It turns out that everything that was studied is safely forgotten.

c) General cultural level and preparation of students. Taking into account, it is necessary to fix grammatical material on authentic texts in the classroom: texts from periodicals, texts relating to the profile of the university.

I would like to stop in one of the last problems of the education system: a differentiated approach to students. After all, it often turns out that in the same group students are engaged with different levels of training. They also differ in their instincts, types of memory, perception of the environment.

In practice it has accumulated rich experience in the differentiated approach to students with insufficient preparation. And, unfortunately, the opportunities of students with a higher level of knowledge of the language are little used.

Analyzing the rich experience of the teachers-practitioners, we can distinguish three areas of work.

First, in order to keep students in working form, not to reduce their business activity, it is desirable to increase the amount of work, taking into account their potential. Such an approach, in our opinion, is the least rational, since it does not contribute to the development of cognitive abilities, but performs only one function - it ensures the employment of students.

Second, you can increase the amount of work is not due to the number of written words, phrases or sentences, but at the expense of additional tasks that are performed on the same didactic materials. This approach is most effective, as it provides employment for not only the employment of students, but also promotes a stronger skill, systematic repetition. Additional tasks have the most diverse character: to make a crossword puzzle, to make a cluster, etc.

It should be noted that the exercises with complex tasks, which are based on logical connections between the studied phenomena, contribute to the formation of system values for students.

Thirdly, it is possible to include tasks of increased difficulty, where a high intellectual level is required, the ability to freely operate with knowledge, to use them in new situations. This is the most productive area of work, so we will focus on it. What forms and methods of work will help to implement it?

  1. Independent selection by students of didactic material, similar text (for example, technology: literary circles).
  2. Tasks that orient students to establish interdisciplinary connections.
  3. Tasks of research nature (for example, the method of problem-search conversation). In the process of such work, the interest in the subject increases, the skills of independent work are formed.

The purpose of the above tasks is to expand the horizons of students, the formation of the skill to transfer the knowledge gained to their classmates, to use this knowledge in practice.


  1. The concept of multicultural and multilingual education in the Kyrgyz Republic. -B. -2009. – 114 p.
  2. The concept of development of education in the Kyrgyz Republic until 2020. Strategy of education development in the Kyrgyz Republic for 2012-2020. –B. – p. 2012. – 120 p.
  3. SES HPE direction "Economics" (bachelor) III generation. -B. - 2015. – 25 p.
  4. Passov E.I. Communicative method of teaching foreign language speaking. - M ., 1991. – 223 p.